Start Engaging Others With Your Social Media
Do you use social media marketing to grow your business? Are you wondering how to get others to engage with your social media? Would you like to have others say great things about your brand or product on your social media?
This article will try to help you discover the common mistakes social media marketers make and how to fix them. I want to share how you can improve your social media reach by engaging your audience.
You’ll discover how to use social media marketing effectively. Learn how you can have your brand talked about in a positive way.
Stop Marketing on Social Media
I used to look at business books in bookstores, and they would all have the same information, just a different title. The problem is that these books reinforced the traditional marketing methods of the past. In today’s digital age, too many try to use the same old marketing methods to sell their product or servcie. Rather than clinging to the past, moving into the digital marketing age it’s all about engagement.
Our information is aimed at entrepeneurs. Business people who are ready and willing to try something different. When social media exploded, it took everyone by surprise. No-one saw that coming and many still wonder how they can make social media work for them.

<<<
Record 1
# Nd5In4Rh | the Alexandria database | PBE | relaxed
# Formation enthalpy at 0 K   -0.52 eV/atom
# Magnetization   0.00 μB per cell
data_Nd5In4Rh
_chemical_formula_sum 'Nd5 In4 Rh1'
_symmetry_space_group_name_H-M 'P 4/m m m'
_symmetry_Int_Tables_number 123
_symmetry_space_group_name_Hall '-P 4 2'
_cell_length_a 3.618
_cell_length_b 3.618
_cell_length_c 21.134
_cell_angle_alpha 90.00
_cell_angle_beta 90.00
_cell_angle_gamma 90.00
loop_
_atom_site_label
_atom_site_type_symbol
_atom_site_fract_x
_atom_site_fract_y
_atom_site_fract_z
_atom_site_occupancy
Nd1 Nd 0.000 0.000 0.000 1
Nd2 Nd 0.000 0.000 0.208 1
Nd3 Nd 0.000 0.000 0.419 1
In1 In 0.500 0.500 0.104 1
In2 In 0.500 0.500 0.312 1
Rh1 Rh 0.500 0.500 0.500 1

=====

Record 2
# NdIn5Rh6 | the Alexandria database | PBE | relaxed
# Formation enthalpy at 0 K   -0.49 eV/atom
# Magnetization   0.00 μB per cell
data_NdIn5Rh6
_chemical_formula_sum 'Nd1 In5 Rh6'
_symmetry_space_group_name_H-M 'P 1 2/m 1'
_symmetry_Int_Tables_number 10
_cell_length_a 4.578
_cell_length_b 6.768
_cell_length_c 7.239
_cell_angle_alpha 90.00
_cell_angle_beta 108.34
_cell_angle_gamma 90.00
loop_
_symmetry_equiv_pos_as_xyz
'x,y,z'
'-x,-y,-z'
'-x,y,-z'
'x,-y,z'
loop_
_atom_site_label
_atom_site_type_symbol
_atom_site_fract_x
_atom_site_fract_y
_atom_site_fract_z
_atom_site_occupancy
Nd1 Nd 0.000 0.000 0.000 1
In1 In 0.000 0.500 0.000 1
In2 In 0.333 0.000 0.665 1
In3 In 0.334 0.500 0.669 1
Rh1 Rh 0.172 0.258 0.343 1
Rh2 Rh 0.500 0.267 0.000 1

=====

Record 3
# NdInRuRh | the Alexandria database | PBE | relaxed
# Formation enthalpy at 0 K   -0.31 eV/atom
# Magnetization   0.00 μB per cell
data_NdInRuRh
_chemical_formula_sum 'Nd4 In4 Ru4 Rh4'
_symmetry_space_group_name_H-M 'F -4 3 m'
_symmetry_Int_Tables_number 216
_symmetry_space_group_name_Hall 'F -4 2 3'
_cell_length_a 6.750
_cell_length_b 6.750
_cell_length_c 6.750
_cell_angle_alpha 90.00
_cell_angle_beta 90.00
_cell_angle_gamma 90.00
loop_
_atom_site_label
_atom_site_type_symbol
_atom_site_fract_x
_atom_site_fract_y
_atom_site_fract_z
_atom_site_occupancy
Nd1 Nd 0.000 0.000 0.000 1
In1 In 0.000 0.000 0.500 1
Ru1 Ru 0.250 0.250 0.750 1
Rh1 Rh 0.250 0.250 0.250 1

=====

Record 4
# Nd2InSb3Rh4 | the Alexandria database | PBE | relaxed
# Formation energy without anion corrections   -0.77 eV/atom
# Magnetization   0.00 μB per cell
data_Nd2InSb3Rh4
_chemical_formula_sum 'Nd2 In1 Sb3 Rh4'
_symmetry_space_group_name_H-M 'P -4 m 2'
_symmetry_Int_Tables_number 115
_cell_length_a 4.452
_cell_length_b 4.452
_cell_length_c 10.875
_cell_angle_alpha 90.00
_cell_angle_beta 90.00
_cell_angle_gamma 90.00
loop_
_symmetry_equiv_pos_as_xyz
'x,y,z'
'y,-x,-z'
'-x,-y,z'
'-y,x,-z'
'-x,y,z'
'-y,-x,-z'
'x,-y,z'
'y,x,-z'
loop_
_atom_site_label
_atom_site_type_symbol
_atom_site_fract_x
_atom_site_fract_y
_atom_site_fract_z
_atom_site_occupancy
Nd1 Nd 0.000 0.500 0.249 1
In1 In 0.000 0.000 0.500 1
Sb1 Sb 0.000 0.500 0.868 1
Sb2 Sb 0.500 0.500 0.500 1
Rh1 Rh 0.000 0.000 0.000 1
>>>
**End of the data records:**

When social media first began, the term “social media strategy” did not even exist. You may not understand the term yet, but that is what you need to adopt and develop. You have to find your own unique social media strategy.
Find what works for you. You can’t just jump on social media and expect to have an immediate impact. Instead you should give to the network, rather than go out there and sell. I write three blogs about my interests in business marketing, web accessibility, and business sustainability. and sharing my blog posts on social media helps me to engage with a diverse audience.
There are an abundance of social media platforms to choose from. And each of these platforms is home to a slightly different audience. You need to determine where your desired audience is and use those platforms to get your message out.
What Drives You Mad About Social Media Marketing?
Are there things about social media marketing that simply drive you mad?
I observe a lot in the marketing world, paying particular attention to social media marketing. I think that the biggest problem for many brands is being dis-engaged. Some brands have a presence on every platforms, but are not actually present. It’s better to be on just a few platforms and actually be engaged in conversations with others.
If you schedule your social media posts using a social media management tool, you also need to make the effort to do more than just respond to your comments and shares. Be engaged in conversations with subjects you care about that are active on your chosen social media platforms.
It’s a problem if you’re not there for everybody else’s tweets about other things. You are not unconditionally giving back to the community. Don’t be someone who only answers when people talk to you.

The engagement on a new Twitter account today is nowhere near as high as it used to be. Intoduced in 2006, by 2009 when you tweeted you could expect to get at least 100 replies. Today you’re lucky if you get 12. What you need to understand is that few people hear you unless you are @somebody.
Because of this, many marketers spend less time on Twitter than they used to. Too many marketers look at the phrase social media, and they only think of the media part.
The message for marketers is don’t rush out and do something just because everybody else is doing it. There are too many marketers who focus on broadcasting and don’t understand the engagement side.
Dre Headphones Does Social Media Right
I bought my grandson some Beats by Dre headphones, which broke. Apple told him that he would have to contact the company directly. I dreaded contacting them because I don’t like to deal with customer service people.

When I looked at their website on my phone, I saw they had a customer support Twitter handle. I tweeted them and 4 minutes later I got a response, which included an apology and said they appreciated my purchase and asked me for a DM for his email address.
So they could set up a return for him. Within 3 minutes, he received an email providing instructions for the return.
He was then handed over to his own personal agent, who dealt with the problem. I was amazed that such a smooth process came through customer service on Twitter.

[These materials data were left in the page by mistake]
+++
(1)
Entry from OQMD: Zr3Al3Ir2Au after structural relaxation (PBE).

Cell: 7.317 7.317 3.490 Å, 90.00 90.00 120.00°
Positions (direct):
Zr1 0.000 0.598 0.500
Zr2 0.402 0.402 0.500
Ir1 0.333 0.667 0.000
Au1 0.000 0.000 0.500
Ir2 0.667 0.333 0.000
Zr3 0.598 0.000 0.500
Al1 0.000 0.272 0.000
Al2 0.728 0.728 0.000
Al3 0.272 0.000 0.000

Results
Energy: -7.237 eV per atom
Calculated volume: 17.98 A^3/atom

=====

(2)
Entry from OQMD: KAl2Au2 after structural relaxation (PBE).

Cell: 6.520 6.520 6.520 Å, 139.90 139.90 58.00°
Positions (direct):
Al1 0.750 0.250 0.500
Al2 0.250 0.750 0.500
Au1 0.631 0.631 0.000
K1 0.000 0.000 0.000
Au2 0.369 0.369 0.000

Results
Energy: -3.360 eV per atom
Calculated volume: 22.79 A^3/atom

=====

(3)
Entry from OQMD: KAlAu after structural relaxation (PBE).

Cell: 4.965 4.965 4.965 Å, 60.00 60.00 60.00°
Positions (direct):
Au1 0.000 0.000 0.000
Al1 0.250 0.250 0.250
K1 0.750 0.750 0.750

Results
Energy: -2.528 eV per atom
Calculated volume: 28.85 A^3/atom

=====

(4)
Entry from OQMD: KRbAl4Au2 after structural relaxation (PBE).

Cell: 7.654 6.911 6.911 Å, 36.93 90.00 90.00°
Positions (direct):
K1 0.500 0.462 0.462
Al1 0.184 0.804 0.804
Rb1 0.000 0.536 0.536
Al2 0.318 0.197 0.197
Al3 0.816 0.804 0.804
Al4 0.682 0.197 0.197
Au1 0.500 0.728 0.728
Au2 0.000 0.271 0.271

Results
Energy: -3.170 eV per atom
Calculated volume: 27.46 A^3/atom

=====

(5)
Entry from OQMD: KScAlAu after structural relaxation (PBE).

Cell: 5.137 5.137 5.137 Å, 60.00 60.00 60.00°
Positions (direct):
Al1 0.250 0.250 0.250
Sc1 0.000 0.000 0.000
K1 0.500 0.500 0.500
Au1 0.750 0.750 0.750

Results
Energy above the lowest structure with this stoichiometry: 0.37 eV per formula unit
Calculated volume: 23.97 A^3/atom

=====

(6)
Entry from OQMD: KScAlAu after structural relaxation (PBE).

Cell: 4.987 4.987 4.987 Å, 60.00 60.00 60.00°
Positions (direct):
K1 0.500 0.500 0.500
Al1 0.000 0.000 0.000
Au1 0.750 0.750 0.750
Sc1 0.250 0.250 0.250

Results
Energy above the lowest structure with this stoichiometry: 0.50 eV per formula unit
Calculated volume: 21.93 A^3/atom

=====

(7)
Entry from OQMD: KScAlAu after structural relaxation (PBE).

Cell: 4.905 4.905 4.905 Å, 60.00 60.00 60.00°
Positions (direct):
Al1 0.500 0.500 0.500
Au1 0.750 0.750 0.750
Sc1 0.000 0.000 0.000
K1 0.250 0.250 0.250

Results
Energy above the lowest structure with this stoichiometry: 0.00 eV per formula unit
Calculated volume: 20.86 A^3/atom

=====

(8)
Entry from OQMD: KAlTlAu after structural relaxation (PBE).

Cell: 5.231 5.231 5.231 Å, 60.00 60.00 60.00°
Positions (direct):
K1 0.000 0.000 0.000
Au1 0.750 0.750 0.750
Tl1 0.250 0.250 0.250
Al1 0.500 0.500 0.500

Results
Energy above the lowest structure with this stoichiometry: 0.00 eV per formula unit
Calculated volume: 25.31 A^3/atom

=====

(9)
Entry from OQMD: KAlTlAu after structural relaxation (PBE).

Cell: 5.181 5.181 5.181 Å, 60.00 60.00 60.00°
Positions (direct):
Tl1 0.500 0.500 0.500
Au1 0.750 0.750 0.750
Al1 0.000 0.000 0.000
+++

Beats by Dre Support was 100% on task when I tweeted them. We all understand that mistakes are made, products break and services let us down. What matters is how the company resolves them that counts. As a brand, you need to be accountable.
How to do Things Worth Talking About
I’ve memorialized the Beats by Dre customer service on Twitter. However, they have to remain consistent with their brand message and concern for customers, no matter how many followers they have. This is a huge key to customer service.
Beats by Dre remains consistent with every single customer. You can’t pick and choose whom you want to treat right. You need to fulfill everyone’s expectations. You have to remember with Twitter that content can spread because it’s a publicized customer service.
How you handle your day-to-day business can be something worth talking about. Unfortunately, to be considered great, sometimes you only have to be mediocre.
To be worth talking about, you don’t have to create the tweets or the content on a blog. Instead you have to take the actions that somebody will want to blog about.
The best way to create a story is to hire people who believe that every problem is an opportunity to create a great story. Sometimes these stories will get shared and other times they won’t.
How Should Marketers Start with Social Media?
I feel that marketers to select one platform to start. I’m on Linkedin to connect with other business owners, because when you own a business Linkedin membership helps me to feel less isolated.
When you join a social media platform, start by talking to five people. Send five messages commenting on other peoples content. Just begin by talking to people about the things that you are interested in.
There should be no pressure. Also give yourself permission to not do social. Once you take the pressure off, then you might want to give social media a try.